Do you remember the post about What do you need to know to be on A2 level? If you already know everything from that list, here comes more:
What do you need to know on level B1 in Polish? (apart from all the list on A2)
- Nouns and adjectives in singular and plural forms in masculine and feminine
- Cases – a review
- Wołacz (Vocative)
- Nouns – declination – a review (Verbal nouns)
- Pronouns – declination in singular and in plural forms
- Adjectives – declination in singular and in plural forms – a review
- Numerals – declination in singular and in plural forms – a review
- Prepositions
- Conjugation – a review (leżysz, cieszysz się, bierzesz, weźmiesz, itp.)
- Active voice and reflexive verbs – a review
- Impersonal verbs (trzeba, można, warto) – a review
- Imperatives
- Conditional sentences with „gdyby” and kind requests („Chcielibyśmy poprosić”)
- Verbs of movement and their repeatability (iść : chodzić, jechać : jeździć, itp.)
- Grade of adjectives
- Adverbs – forms, functions and grade
- Nationalities and its adjectives (Polska – Polak – polski)
- Creating feminine nouns – a review
- Verbal nouns
- Conjunctions (więc, dlatego)
- Adjunct – a review
- People (personal information, nationality, education, languages, profession, occupation, appearance, clothing, features of personality, feelings and emotions ()
- Family and family life (pregnancy and labor, types and sizes of families, family relations, family history, relatives, family events, love)
- Every day life (routine, parts of a day, every day products, social life)
- Lifestyle (guilty pleasure)
- Free time (hobby, entertainment, ways of relaxation)
- Sport (sport disciplines, gym sport events)
- Apartment (size, location, type of apartment, rooms and furniture, renting a place)
- Places (size, location and type of towns, basic places in the cities, types of buildings – poczta, przystanek, kościół, city plan, country side life vs the city life, city characteristics)
- Travelling (means of transportation, where can we stay, tourist attractions, public transport and means of transportation, travel agencies, tours, types of luggage, travel documents)
- Job and work (professions and places of work, holidays, timetables, types of jobs, salary and income, job market, labour legislation)
- Education (education system, types of school, school supplies, subjects at school, university faculties, school life and it’s problems, grades, school marks, exams, tests, homework, extra – curricular activities)
- Food (products, meals, dishes, drinks (wine), tableware and cutlery, cookware, recipes, eating places, polska kuchnia),
-- begin --
7
Properties=species:S:1:pos:R:3:lowdin_charge:R:1 method="wB97M-V/def2-TZVPD" molar_mass_g_mol=148.923 largest_force_ev_per_a=2.773 e_above_lowest_kcal_mol=74.1 homo_energy_ev="-8.880 / -9.687"
C -1.331 -0.533 0.994 -0.73
C 1.048 0.265 -0.789 -0.77
O -1.914 0.175 1.720 0.05
F 1.560 1.299 -0.105 0.02
F 0.869 0.637 -2.061 0.03
Cl -1.575 -2.020 0.319 0.72
Cl 1.976 -1.185 -0.602 0.68

---

30
Properties=species:S:1:pos:R:3:lowdin_charge:R:1 method="wB97M-V/def2-TZVPD" molar_mass_g_mol=191.350 largest_force_ev_per_a=3.713 e_above_lowest_kcal_mol=82.0 homo_energy_ev="-7.910 / -8.393"
C 4.336 0.465 0.249 -0.09
C 3.907 0.079 -1.044 -0.08
C 3.504 0.390 1.404 -0.06
C 2.584 -0.305 -1.180 -0.14
C 2.163 -0.076 1.192 -0.08
C 1.795 -0.381 -0.118 0.01
C 0.131 -2.934 -1.434 0.01
C -0.781 -2.056 -1.012 -0.34
C -0.951 1.552 1.374 -0.15
C -1.585 1.224 -1.645 -0.18
C -3.289 -0.287 0.718 -0.17
N -0.640 -1.047 -0.135 -0.02
Si -1.604 0.314 0.022 0.45
H 5.297 0.980 0.482 0.11
H 4.612 0.140 -1.930 0.13
H 3.647 0.822 2.377 0.09
H 2.113 -0.314 -2.140 0.11
H 1.343 -0.146 1.926 0.10
H -0.214 -3.558 -2.187 0.02
H 1.198 -2.821 -1.452 0.04
H -1.816 -2.333 -1.240 0.11
H 0.082 1.519 1.396 -0.04
H -1.149 2.569 1.229 0.00
H -1.607 1.307 2.230 0.03
H -0.855 0.536 -2.222 0.04
H -2.557 1.313 -2.226 0.04
H -1.160 2.192 -1.602 -0.01
H -3.847 -1.000 0.041 0.05
H -3.218 -0.703 1.657 -0.01
H -4.146 0.328 0.813 0.01

---

28
Properties=species:S:1:pos:R:3:lowdin_charge:R:1 method="wB97M-V/def2-TZVPD" molar_mass_g_mol=174.232 largest_force_ev_per_a=4.758 e_above_lowest_kcal_mol=38.8 homo_energy_ev="-11.537 / -11.536" charge=+1
C 1.307 -1.263 0.165 -0.21
C 0.092 -0.568 -0.143 -0.24
C 0.003 0.836 -0.464 -0.31
C 1.330 -2.795 0.273 -0.02
C 3.543 1.512 0.406 -0.11
N 2.477 -0.498 0.211 0.04
N 2.373 0.713 0.541 -0.09
N -3.911 -0.209 -0.081 0.01
N -1.147 -1.177 -0.313 0.13
N 0.545 1.301 -1.630 0.19
N -0.686 1.647 0.267 0.01
N -1.217 1.417 1.503 0.10
H 2.276 -3.132 0.104 0.04
H 0.511 -3.219 -0.371 0.09
H 1.159 -3.241 1.302 0.11
H 4.331 1.012 1.070 0.11
H 4.031 1.431 -0.610 0.10
H 3.158 2.485 0.716 0.07
H -3.903 0.693 0.298 -0.01
H -3.996 -0.965 0.536 0.00
H -1.042 -2.199 -0.279 0.10
H -1.967 -0.545 -0.072 0.06
H 0.366 2.239 -1.931 0.11
H 1.404 0.754 -1.999 0.18
H -0.680 2.612 -0.135 0.20
H -4.658 -0.449 -0.870 0.11
H -1.148 0.430 1.552 0.07
H -0.666 1.765 2.300 0.13

---

78
Properties=species:S:1:pos:R:3:lowdin_charge:R:1 method="wB97M-V/def2-TZVPD" smiles="NC(N)=O.NC(N)=O.NC(N)=O.NC(N)=O.NC(N)=O.NC(N)=O.CCO.CCO.CO.CO" molar_mass_g_mol=516.558 largest_force_ev_per_a=10.675 e_above_lowest_kcal_mol=239.8 homo_energy_ev=-8.317
N -11.887 -14.963 5.545 0.20
C -10.954 -14.958 4.713 -0.61
N -10.333 -13.781 4.707 0.11
O -10.714 -15.999 3.788 -0.15
H -12.408 -15.805 5.582 0.13
H -12.094 -14.207 6.141 0.05
H -9.646 -13.725 3.915 0.12
H -10.088 -13.250 5.558 0.14
N -15.178 -14.311 6.050 0.21
C -15.910 -13.813 6.976 -0.64
N -17.110 -14.206 6.854 0.15
O -15.475 -12.905 7.930 -0.09
H -14.217 -13.934 5.960 0.09
-- stop --
**End of the molecular data**
- Shopping (types of shops and what you can buy there, products – their ingredients and characteristics, information – discounts and advertising, measurements, money, service places – fryzjer, kosmetyczka, szewc, methods of payment)
- Health and hygiene (mood, personal hygiene, body parts, sickness and illness – basic diseases, visits at the doctor’s and dentist’s, pharmacy, diet and healthy lifestyle, accidents)
- Nature (climate, weather, seasons (spring), landscapes, names of basic plants, animals and pets: police dogs, animals and art, wildlife conservation)
- State and society (countries and their political systems, national holidays, political and economical situation, most important Polish political parties, living conditions, crimes, war)
- Science and technology (development of science, computers, discoveries and inventions)
- Media (press, radio, television, Internet)
- Culture (cultural areas – literature, film, music, dance, cultural events – opening nights, festivals, awards, participation in culture, outstanding artists) ; check out my podcast to learn more about Polish culture and famous Polish people
- Other (current events, stereotypes, current political and social events)